Search the notes further below for the word "wB97M-V" and retype each line that has it.
____________
Record 1
Here is a 10-piece molecular cluster, C39H61NO23S overall at a distorted geometry from the OMol25 dataset. Energies are from wB97M-V/def2-TZVPD.

Positions of all 125 atoms, in Å:
N: 0.939 4.921 -2.025
C: 0.083 4.242 -2.901
C: -1.514 4.578 -2.742
O: -2.374 4.053 -3.814
S: -1.825 4.528 -5.365
O: -2.556 3.596 -6.408
O: -2.400 6.118 -5.766
C: -1.204 7.013 -5.894
O: -0.189 6.502 -6.829
O: 0.928 7.173 -6.762
H: 0.333 5.527 -1.428
H: 0.570 3.488 -3.654
H: -1.602 5.748 -2.592
H: -1.889 4.097 -1.717
H: -1.579 8.072 -6.292
H: -0.793 7.120 -4.781
H: 1.017 7.650 -5.885
O: 2.639 3.728 -6.240
C: 2.113 2.696 -6.622
O: 1.871 1.614 -5.826
C: 1.349 0.552 -6.623
C: 0.775 1.219 -7.846
C: 1.682 2.410 -8.029
H: 2.165 -0.135 -6.869
H: 0.585 0.008 -6.059
H: 0.737 0.560 -8.718
H: -0.245 1.563 -7.637
H: 2.562 2.163 -8.629
H: 1.146 3.260 -8.458
O: 1.007 -1.944 -6.394
C: 1.463 -2.699 -5.552
O: 0.805 -3.788 -5.056
C: 1.586 -4.374 -4.016
C: 2.997 -3.913 -4.270
C: 2.794 -2.549 -4.879
H: 1.202 -4.025 -3.052
H: 1.498 -5.464 -4.059
H: 3.615 -3.902 -3.369
H: 3.477 -4.574 -5.002
H: 2.723 -1.769 -4.116
H: 3.577 -2.312 -5.604
O: -0.792 2.628 -0.528
C: -1.518 2.909 0.410
O: -2.710 3.564 0.292
C: -3.235 3.820 1.594
C: -2.573 2.810 2.495
C: -1.221 2.631 1.853
H: -2.990 4.850 1.874
H: -4.323 3.705 1.582
H: -2.523 3.132 3.539
H: -3.125 1.863 2.460
H: -0.497 3.365 2.216
H: -0.844 1.615 1.989
O: 1.065 -3.632 -0.905
C: 0.368 -2.679 -0.601
O: 0.808 -1.387 -0.555
C: -0.238 -0.553 -0.058
C: -1.511 -1.316 -0.316
C: -1.069 -2.751 -0.181
H: -0.067 -0.378 1.009
H: -0.224 0.407 -0.582
H: -2.322 -1.042 0.364
H: -1.852 -1.131 -1.342
H: -1.122 -3.098 0.854
H: -1.639 -3.410 -0.841
O: -0.329 3.075 4.654
C: 0.042 1.971 5.020
O: -0.741 0.853 5.006
C: -0.025 -0.228 5.601
C: 1.430 0.148 5.485
C: 1.391 1.651 5.588
H: -0.347 -0.329 6.642
H: -0.249 -1.157 5.068
H: 2.058 -0.327 6.244
H: 1.811 -0.144 4.499
H: 1.431 1.990 6.627
H: 2.187 2.114 4.999
O: -6.269 6.164 0.746
C: -6.795 5.132 0.364
O: -7.037 4.049 1.160
C: -7.559 2.988 0.363
C: -8.133 3.655 -0.860
C: -7.226 4.846 -1.043
H: -6.742 2.301 0.117
H: -8.322 2.444 0.927
H: -8.171 2.996 -1.732
H: -9.153 3.999 -0.651
H: -6.346 4.599 -1.643
H: -7.762 5.696 -1.471
O: 4.133 -8.474 -3.397
C: 3.406 -8.194 -2.459
O: 2.215 -7.538 -2.577
C: 1.690 -7.283 -1.275
C: 2.352 -8.292 -0.374
C: 3.704 -8.472 -1.016
H: 1.935 -6.253 -0.995
H: 0.602 -7.398 -1.287
H: 2.402 -7.970 0.670
H: 1.800 -9.239 -0.410
H: 4.428 -7.737 -0.653
H: 4.081 -9.488 -0.880
O: 3.016 0.318 7.768
C: 2.436 0.385 8.839
O: 1.117 0.082 9.020
C: 0.750 0.376 10.367
C: 2.040 0.361 11.144
C: 3.043 0.849 10.128
H: 0.262 1.356 10.390
H: 0.046 -0.378 10.730
H: 2.004 0.970 12.051
H: 2.285 -0.667 11.436
H: 3.112 1.941 10.118
H: 4.025 0.400 10.286
O: -0.098 -3.757 2.788
C: 1.010 -4.267 2.836
O: 1.382 -5.214 3.746
C: 2.770 -5.503 3.580
C: 3.097 -5.085 2.171
C: 2.165 -3.921 1.946
H: 3.336 -4.934 4.325
H: 2.946 -6.570 3.741
H: 4.152 -4.835 2.030
H: 2.846 -5.896 1.476
H: 2.604 -2.978 2.281
H: 1.852 -3.854 0.902

Values from the calculation:
- Frontier orbital gap: 0.346 hartree
- Strongest force on any atom: 6.9 eV/A
- LUMO energy: 0.009 Eh

Record 2
Here is C19H21BiN7OS6Te as an isolated structure at a distorted geometry from the OMol25 dataset. Energies are from wB97M-V/def2-TZVPD.

Positions of all 56 atoms, in Å:
Bi: 3.226 -13.009 14.337
N: 5.100 -15.647 12.853
C: 4.024 -16.331 13.438
N: 3.729 -17.570 13.058
C: 2.594 -18.087 13.646
N: 2.315 -19.379 13.399
N: 1.684 -17.358 14.339
C: 2.135 -16.105 14.672
N: 3.344 -15.565 14.308
C: 1.228 -15.297 15.350
C: -0.070 -15.782 15.644
C: -0.937 -15.034 16.434
C: -0.495 -13.788 16.931
C: 0.827 -13.421 16.680
N: 1.579 -14.105 15.796
H: 5.680 -16.265 12.267
H: 5.550 -15.157 13.618
H: 2.994 -19.955 12.933
H: 1.517 -19.868 13.706
H: -0.362 -16.759 15.249
H: -1.932 -15.323 16.633
H: -1.171 -13.261 17.602
H: 1.246 -12.560 17.276
C: 5.063 -12.880 19.634
S: 4.153 -13.736 18.317
C: 5.554 -14.253 17.469
C: 6.096 -13.488 16.399
S: 5.448 -12.034 15.748
____________
Here is a 10-piece molecular cluster, C39H61NO23S overall at a distorted geometry from the OMol25 dataset. Energies are from wB97M-V/def2-TZVPD.
Here is C19H21BiN7OS6Te as an isolated structure at a distorted geometry from the OMol25 dataset. Energies are from wB97M-V/def2-TZVPD.